On Cybersecurity: Yes, There’s a Cybersecurity Angle to the Pandemic, Too

Ben Brown, NCLM Communications and Multimedia Strategist

Sadly, you might have predicted it – disasters and crises always seem to attract the scams. From phishing to data theft to money theft to ransomseeking file-encryption, it’s all in circulation. Bad actors don’t lay back when people are more susceptible than usual.

These data records were left in the piece by mistake:
First-principles (GGA-PBE) data for crystalline Os4C16NO12 at its relaxed geometry, as listed in Materials Project.

## Properties
The formation energy is -0.267 eV per atom. For the magnetic moment, the calculation gives 1.0 μB/f.u.

a = 12.216 Å, b = 12.792 Å, c = 16.708 Å
α = 90.00°, β = 90.00°, γ = 90.00°
Space group Pccn (No. 56)
Asymmetric unit:
Os1 0.143 0.209 0.068 [8 per cell]
Os2 0.231 0.122 0.463 [8 per cell]
C1 0.012 0.159 0.022 [8 per cell]
C2 0.089 0.168 0.621 [8 per cell]
C3 0.118 0.175 0.396 [8 per cell]
C4 0.122 0.118 0.157 [8 per cell]
C5 0.160 0.507 0.983 [8 per cell]
C6 0.185 0.056 0.882 [8 per cell]
C7 0.217 0.705 0.775 [8 per cell]
C8 0.237 0.646 0.701 [8 per cell]
N1 0.250 0.750 0.181 [4 per cell]
O1 0.050 0.093 0.648 [8 per cell]
O2 0.055 0.209 0.351 [8 per cell]
O3 0.070 0.629 0.505 [8 per cell]
O4 0.108 0.063 0.211 [8 per cell]
O5 0.118 0.586 0.998 [8 per cell]
O6 0.139 0.016 0.829 [8 per cell]

=====

Entry 1:
LiCrP4O12 | PBE+U | optimized geometry

Energy relative to the elements (eV per formula unit): -47.20
Total energy (eV per cell): -518.2

Cell and atoms, written as CIF:
```
data_LiCrP4O12
_chemical_formula_sum 'Li4 Cr4 P16 O48'
_space_group_name_H-M_alt 'C 1 c 1'
_space_group_IT_number 9
_cell_length_a 9.444
_cell_length_b 14.048
_cell_length_c 7.695
_cell_angle_alpha 90.00
_cell_angle_beta 104.15
_cell_angle_gamma 90.00
loop_
_space_group_symop_operation_xyz
'x,y,z'
'x,-y,z+1/2'
'x+1/2,y+1/2,z'
'x+1/2,-y+1/2,z+1/2'
loop_
_atom_site_label
_atom_site_type_symbol
_atom_site_fract_x
_atom_site_fract_y
_atom_site_fract_z
Li1 Li 0.000 0.153 0.000
Cr1 Cr 0.165 0.372 0.466
P1 P 0.045 0.421 0.044
P2 P 0.075 0.175 0.620
P3 P 0.257 0.168 0.378
P4 P 0.302 0.423 0.886
O1 O 0.041 0.272 0.530
O2 O 0.041 0.369 0.214
O3 O 0.050 0.472 0.547
O4 O 0.099 0.165 0.816
O5 O 0.149 0.142 0.213
O6 O 0.175 0.378 0.966
O7 O 0.211 0.130 0.555
O8 O 0.292 0.469 0.385
O9 O 0.301 0.374 0.711
O10 O 0.302 0.273 0.411
O11 O 0.406 0.110 0.391
O12 O 0.445 0.398 0.030
```

---

Entry 2:
LiCrPO5 | PBE+U | optimized geometry

Energy relative to the elements (eV per formula unit): -19.32
Total energy (eV per cell): -222.4

Cell and atoms, written as CIF:
```
data_LiCrPO5
_chemical_formula_sum 'Li4 Cr4 P4 O20'
_space_group_name_H-M_alt 'P 1 21/c 1'
_space_group_IT_number 14
_cell_length_a 5.568
_cell_length_b 11.853
_cell_length_c 5.772
_cell_angle_alpha 90.00
_cell_angle_beta 96.38
_cell_angle_gamma 90.00
loop_
_space_group_symop_operation_xyz
'x,y,z'
'-x,-y,-z'
'-x,y+1/2,-z+1/2'
'x,-y+1/2,z+1/2'
loop_
_atom_site_label
_atom_site_type_symbol
_atom_site_fract_x
_atom_site_fract_y
_atom_site_fract_z
Li1 Li 0.178 0.242 0.153
Cr1 Cr 0.182 0.581 0.571
P1 P 0.358 0.655 0.091
O1 O 0.125 0.083 0.026
O2 O 0.163 0.749 0.099
O3 O 0.265 0.569 0.893
O4 O 0.364 0.583 0.320
O5 O 0.392 0.199 0.437
```

---

Entry 3:
LiCrPO4 | PBE+U | optimized geometry

Energy relative to the elements (eV per formula unit): -17.84
Total energy (eV per cell): -199.4

Some municipal governments may not immediately see themselves as uniquely vulnerable. But beware that the nature of government business, and the data and funds associated with it, may attract specific nefarious efforts. Perhaps you’ve even received them, like those emails offering N95 masks or COVID-19 test kits or other needed supplies through a weblink provided.

“You go to their website, then a payload is downloaded into their machine, and the bad guys are off to the races,” said Pete Seeber, founder of the Mooresville-based Corvid Cyberdefense, which has worked with the League on protective education.

As reported by tech news site ZDNet on April 18, FBI Assistant Director Tonya Ugoretz said the number of cyber-crime reports had risen four-fold over months prior to the COVID-19 pandemic.

“The FBI has an Internet Crime Complaint Center, the IC3, which is our main ingest point. Sadly, the IC3 has been incredibly busy over the past few months,” the site quoted of Ugoretz. “Whereas they might typically receive 1,000 complaints a day through their internet portal, they’re now receiving something

like 3,000 to 4,000 complaints a day not all of those are COVID-related, but a

good number of those are.”

The League began fielding more cybersecurity questions as the coronavirus curve rose and added information to its FAQ page at nclm.org/coronavirus explaining how cities and towns may find themselves prime targets. For one, many municipal staffers are in work-from-home mode, performing tasks over an internet connection, and in an environment where security standards may be lower. More emails with bogus offers and links are coming in, where a compromised system might just be one curious click away. And, due to the limitation of non-essential personnel and other staff working from home, governments had to leverage commercial apps that normally wouldn’t have been approved.

Verizon releases an annual Data Breach Investigations Report that looks at the past year’s activity and trends. “Cyber-Espionage is rampant in the Public sector, with State-affiliated actors accounting for 79 percent of all breaches involving external actors,” the 2019 report said. “Privilege Misuse and Error by insiders account for 30 percent of breaches.”

“Privilege Misuse and Error” pertains to exploitation of a user’s privileges in a system, sometimes with bad intention on part of the employee and other times a mishandling.

“Be aware of your own vulnerabilities,” said Seeber, who has 15 years’ experience in the tech space.

The email thing might sound too simple to avoid; just don’t click links you haven’t verified, right? Well, the same confidence would have to be spread through everyone with access to your systems.

“Think of it from this perspective,” Seeber said. “Whether somebody is a work-from-home person or somebody is a work-in-the-office person, 90 percent of the time … those bad actors’ entry point is that person’s email inbox.”

He said the number-one defense against cyber breaches is to have the right training and awareness among all employees. “Think of it as a battlefield. The frontline soldiers in this battle are every employee who has an inbox.”

An unwary soldier could easily hit a bad link. Sharp soldiers know how to identify and avoid them.

With COVID-19 ramping up criminal opportunities, be skeptical of emails that seem unrelated to normal business. If the sender includes a URL that, on the surface, appears to represent an organization, “do 10 seconds of research” and look it up in a web browser, Seeber said. “Don’t click that link (in the email).”

Hyperlinked text in an email can be investigated easily, he continued. Just hover your mouse over the link (don’t click) and see what URL appears in the information box. Examine it and its spelling carefully.

“Impersonation emails” are another tactic, where the cyberattacker masquerades as, for instance, your city manager or supervisor asking you to make a wire transfer. It might even look legitimate.

-- Crystal structures, kept here for reference --
VASP calculation (PBE) on an optimized crystal structure of Hf4Mo.

The total energy is -9.145 eV per atom.

The space group is Fd-3m (No. 227, origin choice 2) and the conventional cell measures 9.8749, 9.8749 and 9.8749 Å, with angles of 90.00, 90.00 and 90.00 degrees. The distinct sites, in fractional coordinates, are Hf at (0.0192, 0.0192, 0.2308) and Mo at (0.1250, 0.1250, 0.6250).

----------

First-principles (r2SCAN) data for a geometry-optimized KDy2Cl7 structure, as listed in the Materials Project database.

Cell and atoms, written as POSCAR:
```
KDy2Cl7
1.0
-4.5237 -10.3756 -5.4740
4.0202 -3.8903 4.0515
-9.4230 -0.4748 8.6871
K Cl Dy
4 28 8
Direct
0.2941 0.7124 0.4647
0.2059 0.7124 0.9647
0.7059 0.2876 0.5353
0.7941 0.2876 0.0353
0.9100 0.0411 0.6182
0.5745 0.5207 0.1176
0.0272 0.4409 0.1306
0.9728 0.5591 0.8694
0.2026 0.4953 0.6748
0.8228 0.9912 0.3289
0.5591 0.0419 0.3744
0.0591 0.9581 0.1256
0.2974 0.4953 0.1748
0.3228 0.0088 0.1711
0.9255 0.5207 0.6176
0.7026 0.5047 0.8252
0.6772 0.9912 0.8289
0.8148 0.7511 0.1035
0.1852 0.2489 0.8965
0.4728 0.4409 0.6306
0.4100 0.9589 0.8818
0.4255 0.4793 0.8824
0.5272 0.5591 0.3694
0.6852 0.7511 0.6035
0.0900 0.9589 0.3818
0.9409 0.0419 0.8744
0.0745 0.4793 0.3824
0.1772 0.0088 0.6711
0.5900 0.0411 0.1182
0.3148 0.2489 0.3965
0.7974 0.5047 0.3252
0.4409 0.9581 0.6256
0.9635 0.7260 0.2626
0.4635 0.2740 0.2374
0.8393 0.7767 0.7523
0.5365 0.7260 0.7626
0.1607 0.2233 0.2477
0.3393 0.2233 0.7477
0.6607 0.7767 0.2523
0.0365 0.2740 0.7374
```

First-principles (r2SCAN) data for a geometry-optimized Mg5Zn structure, as listed in the Materials Project database.

Cell and atoms, written as POSCAR:
```
Mg5Zn
1.0
-5.2323 0.7025 -0.8689
1.6852 -2.1080 4.6197
0.2836 4.5552 1.9751
Mg Zn
5 1
Direct
0.0000 0.6807 0.5000
0.3333 0.6667 0.0000
0.6667 0.3333 0.0000
0.3193 0.3193 0.5000
0.6807 0.0000 0.5000
0.0000 0.0000 0.0000
```

Number 1: volume 27.844 A^3/atom, energy relative to the elements -2.501 eV per atom. Number 2: volume 20.547 A^3/atom, energy relative to the elements 0.008 eV per atom.

----------

Record 1
LuCoC2 after structural relaxation, computed with r²SCAN.

The structure in POSCAR format:
```
LuCoC2
1.0
-3.413 0.000 0.000
0.000 -2.222 -2.955
0.000 -2.222 2.955
Lu Co C
1 1 2
Direct
0.000 0.001 0.999 Lu
0.500 0.385 0.615 Co
0.500 0.849 0.460 C
0.500 0.540 0.151 C
```

Results
- ρ (g/cm3) = 9.56
- space-group type = Amm2 (38)
- calculated formation energy (eV/atom) = -0.419

Record 2
TmAu after structural relaxation, computed with r²SCAN.

The structure in POSCAR format:
```
TmAu
1.0
-1.943 4.617 2.698
-0.647 -3.066 -4.749
-3.184 -2.560 2.087
Tm Au
2 2
Direct
0.861 0.139 0.750 Tm
0.139 0.861 0.250 Tm
0.589 0.411 0.750 Au
0.411 0.589 0.250 Au
```

Results
- ρ (g/cm3) = 13.47
- space-group type = Cmcm (63)
- calculated formation energy (eV/atom) = -1.006

Record 3
Li2PdF6 after structural relaxation, computed with r²SCAN.

The structure in POSCAR format:
```
Li2PdF6
1.0
-2.676 2.400 2.856

“You just have to slow down,” said Seeber. Confirm it another way, first, and consider having controls in place. For instance, some organizations require two signatures from designated staffers on any request to transfer sums over a certain size.

There are also technologies that municipalities can apply to their email systems to filter out phishing or malware attempts. These applications can spot suspect language, attachments or links and quarantine them.

“Think of it like a TSA checkpoint at the airport,” Seeber said.

Options and best-practices exist and should be on every local government’s mind. But it’s not just for your information technology department to deal with. Everyone has to be vigilant.

“It is a tone and a culture that the organization has to set,” he said.

A few more tips, and some reiteration:

  • If you are working from home, keep your work computer for business only. Surfing and other purposes should be limited and used only on your personal computer.
  • Avoid clicking links in emails or responding to suspicious emails.
  • Do not visit sites you are unfamiliar with.
  • Make sure you change your passwords often. Practice good password management.
  • Back up your important data frequently.
  • Do not leave devices unsecured with no password protection.
  • Make sure your devices are up to date on patches, have antivirus/antimalware software installed.
  • If you are working from home, and need a non-standard application to help boost productivity, get it approved by your IT team first.
  • If you do not have a work computer and are using your home computer for work, please contact your IT resource to discuss what measures can be taken to ensure you have help protect the organizations network.